The recent discovery of human remains at the construction site of the Shangri La hotel stirred the old pot of conspiracy theories. News reports casually evoked two past lives of the construction site, as an army base in a violent epoch and as a cemetery in the British period, and left the conclusion to the public imagination. Authorities have concluded preliminary investigations and submitted a report to the Magistrate’s Court. The Fort Police told Roar that they still did not have enough information to place the discovery in the registry of crime, or colonial history, or prehistory. However, the incident did pique the curiosity of the public. For a moment, one wondered what kind of stories were buried and forgotten under one’s feet. These are some of the sensational graves that were accidentally unearthed in Sri Lanka.
The Matale Mass Grave
~~~
1.
{
  "formula": "ZrBr2",
  "functional": "r2SCAN",
  "state": "optimized geometry",
  "cell": [[6.831, 3.944, 3.166], [-6.831, 3.944, 3.166], [0.000, -7.888, 3.166]],
  "species": ["Zr", "Zr", "Zr", "Zr", "Zr", "Zr", "Br", "Br", "Br", "Br", "Br", "Br", "Br", "Br", "Br", "Br", "Br", "Br"],
  "fractional_positions": [[0.210, 0.401, 0.467], [0.401, 0.467, 0.210], [0.467, 0.210, 0.401], [0.533, 0.790, 0.599], [0.599, 0.533, 0.790], [0.790, 0.599, 0.533], [0.048, 0.355, 0.126], [0.126, 0.048, 0.355], [0.188, 0.726, 0.578], [0.274, 0.422, 0.812], [0.355, 0.126, 0.048], [0.422, 0.812, 0.274], [0.578, 0.188, 0.726], [0.645, 0.874, 0.952], [0.726, 0.578, 0.188], [0.812, 0.274, 0.422], [0.874, 0.952, 0.645], [0.952, 0.645, 0.874]],
  "formation_enthalpy_0k_ev_per_atom": -1.46,
  "rho_g_cm3": 4.89,
  "vol_a3_per_cell": 511.9
}

2.
{
  "formula": "C",
  "functional": "r2SCAN",
  "state": "optimized geometry",
  "cell": [[2.456, 0.000, 0.000], [-1.228, 2.127, 0.000], [0.000, 0.000, 8.524]],
  "species": ["C", "C"],
  "fractional_positions": [[0.333, 0.667, 0.000], [0.667, 0.333, 0.000]],
  "de_polymorph_mev_per_atom": 13.1,
  "formation_enthalpy_0k_ev_per_atom": 0.01,
  "rho_g_cm3": 0.90,
  "vol_a3_per_cell": 44.5
}

3.
{
  "formula": "C",
  "functional": "r2SCAN",
  "state": "optimized geometry",
  "cell": [[2.456, 0.000, 0.000], [-1.228, 2.127, 0.000], [0.000, 0.000, 29.492]],
  "species": ["C", "C", "C", "C", "C", "C", "C", "C", "C", "C", "C", "C"],
  "fractional_positions": [[0.000, 0.000, 0.000], [0.000, 0.000, 0.500], [0.333, 0.667, 0.000], [0.333, 0.667, 0.117], [0.333, 0.667, 0.383], [0.333, 0.667, 0.617], [0.333, 0.667, 0.883], [0.667, 0.333, 0.117], [0.667, 0.333, 0.383], [0.667, 0.333, 0.500], [0.667, 0.333, 0.617], [0.667, 0.333, 0.883]],
  "de_polymorph_mev_per_atom": 6.1,
  "formation_enthalpy_0k_ev_per_atom": 0.01,
  "rho_g_cm3": 1.55,
  "vol_a3_per_cell": 154.1
}

4.
{
  "formula": "C",
  "functional": "r2SCAN",
  "state": "optimized geometry",
  "cell": [[2.457, 0.000, 0.000], [-1.228, 2.127, 0.000], [0.000, 0.000, 7.293]],
  "species": ["C", "C"],
  "fractional_positions": [[0.333, 0.667, 0.000], [0.667, 0.333, 0.000]],
  "de_polymorph_mev_per_atom": 12.9,
  "formation_enthalpy_0k_ev_per_atom": 0.01,
  "rho_g_cm3": 1.05,
  "vol_a3_per_cell": 38.1
}

5.
{
  "formula": "C",
  "functional": "r2SCAN",
  "state": "optimized geometry",
  "cell": [[2.456, 0.000, 0.000], [-1.228, 2.127, 0.000], [0.000, 0.000, 12.046]],
  "species": ["C", "C", "C", "C"],
  "fractional_positions": [[0.000, 0.000, 0.250], [0.000, 0.000, 0.750], [0.333, 0.667, 0.250], [0.667, 0.333, 0.750]],
  "de_polymorph_mev_per_atom": 14.4,
  "formation_enthalpy_0k_ev_per_atom": 0.01,
  "rho_g_cm3": 1.27,
  "vol_a3_per_cell": 62.9
~~~

The JVP called for a criminal investigation into the mass grave of Matale. Image credits: Clockwise from left: Image 1, The Sunday Leader; Image 2, Colombo Telegraph; Images 3 & 4, jvpsrilanka.com
On November 25, 2012, workers at a construction site near the Matale District hospital encountered some human bones while trying to install a biogas unit. The Matale Magistrate’s Court ordered the remains to be exhumed, and by February 2013, there were 155 human skeletons unearthed in total. The police claimed in court that the skeletons belonged to victims of a smallpox epidemic in the 1950s. However, the site had the classic appearance of a mass grave, with all its skeletons stacked on top of each other and laid out in rows. Archaeologist Raj Somadeva stated that the skeletal remains dated from the period between 1986 and 1990. The Matale District was notorious as a hideout of the Janatha Vimukthi Peramuna (JVP) insurgents during the failed Marxist revolution of 1987. An easy connection was made between the grave and army and the extra-judicial killings that ended the revolution. The JVP called for a criminal investigation and a full disclosure of its results.
Like it happens in all government scandals, the public furore resulted in a Presidential Commission of Inquiry headed by former Supreme Court Judge S. I. Imam, former High Court Judge Bandula Atapattu, and former Parliament Secretary General Dhammika Kithulegoda. The Commission collected evidence from 156 witnesses and obtained a forensics report from a laboratory in China as well as from Beta Analytic, a company based in Miami, U.S.A., which specialises in radiocarbon dating. Eventually, the Presidential Commission arrived at the dead-end for which it was destined. As the propaganda war intensified for the January 2015 elections, President Mahinda Rajapaksa’s government shelved the Commission’s report, and phased out all mentions of it from the public domain.
When the government changed in 2015, the Commission reopened its report, however, upholding the 1950s hypothesis and rejecting the allegations that the mass grave was a scene of crime. Archaeologist Somadeva disputed its findings, implying that the wrong skeletal samples were sent for testing.
Duraiappah Stadium Mass Grave
-- Records of crystals that have nothing to do with the entry --
'''
1.
Below is crystalline NiH7C3NO6 at its relaxed geometry, with properties calculated at the r²SCAN level.

abc: 12.4708 12.4708 8.1121
angles: 90.00 90.00 120.00
Space group P6_3 (No. 173)
Asymmetric unit:
Ni 0.0032 0.3350 0.0000 x6
H 0.0000 0.0000 0.4233 x2
H 0.0260 0.0892 0.0880 x6
H 0.0623 0.5136 0.7181 x6
H 0.1295 0.2674 0.7384 x6
H 0.1855 0.3974 0.2760 x6
H 0.2443 0.6418 0.4123 x6
H 0.2698 0.5775 0.9124 x6
H 0.3333 0.6667 0.0773 x2
H 0.3333 0.6667 0.5771 x2
C 0.0371 0.5243 0.2378 x6
C 0.1461 0.2973 0.2611 x6
C 0.1822 0.8137 0.7457 x6
N 0.0000 0.0000 0.0486 x2
N 0.3333 0.6667 0.4517 x2
N 0.3333 0.6667 0.9520 x2
O 0.0623 0.8224 0.3594 x6
O 0.0703 0.2455 0.1435 x6
O 0.0873 0.5985 0.3576 x6
O 0.0954 0.4921 0.1422 x6
O 0.1519 0.7270 0.6440 x6
O 0.1600 0.4224 0.8579 x6

Computed properties:
E = -126.5 eV/f.u.


2.
Below is crystalline ZnH7C3NO6 at its relaxed geometry, with properties calculated at the r²SCAN level.

abc: 12.5222 12.5222 8.2679
angles: 90.00 90.00 120.00
Space group P6_3 (No. 173)
Asymmetric unit:
Zn 0.0043 0.3356 0.0000 x6
H 0.0000 0.0000 0.4271 x2
H 0.0270 0.0891 0.0892 x6
H 0.0562 0.5060 0.7100 x6
H 0.1277 0.2722 0.7288 x6
H 0.1768 0.3913 0.2865 x6
H 0.2447 0.6414 0.4108 x6
H 0.2711 0.5778 0.9112 x6
H 0.3333 0.6667 0.0732 x2
H 0.3333 0.6667 0.5730 x2
C 0.0419 0.5285 0.2339 x6
C 0.1419 0.2927 0.2661 x6
C 0.1849 0.8127 0.7418 x6
N 0.0000 0.0000 0.0501 x2
N 0.3333 0.6667 0.4500 x2
N 0.3333 0.6667 0.9503 x2
O 0.0610 0.8258 0.3607 x6
O 0.0705 0.2433 0.1464 x6
O 0.0900 0.5993 0.3546 x6
O 0.1001 0.4954 0.1418 x6
O 0.1536 0.7245 0.6447 x6
O 0.1623 0.4242 0.8555 x6

Computed properties:
E = -124.1 eV/f.u.


3.
Below is crystalline ZnH8C3N2O6 at its relaxed geometry, with properties calculated at the r²SCAN level.

abc: 8.607 7.713 11.433
angles: 90.00 90.00 90.00
Space group Pna2_1 (No. 33)
Asymmetric unit:
Zn 0.035 0.000 0.000 x4
H 0.040 0.077 0.247 x4
H 0.071 0.629 0.192 x4
H 0.072 0.411 0.166 x4
H 0.085 0.602 0.841 x4
H 0.102 0.390 0.828 x4
H 0.147 0.488 0.292 x4
H 0.160 0.686 0.495 x4
H 0.229 0.233 0.551 x4
C 0.036 0.935 0.250 x4
C 0.180 0.292 0.472 x4
C 0.235 0.778 0.543 x4
N 0.060 0.506 0.230 x4
N 0.093 0.503 0.782 x4
O 0.008 0.861 0.346 x4
O 0.059 0.228 0.428 x4
O 0.059 0.854 0.155 x4
O 0.128 0.230 0.069 x4
O 0.182 0.926 0.567 x4
O 0.250 0.422 0.428 x4
'''

The Indian Peace Keeping Force on tour in Jaffna. It has been contended that the skeletons found at the Duraiappah Stadium mass grave could date back to the late 1980s, a period when the LTTE, IPKF, and the Sri Lankan Army successively occupied Jaffna. mage credit: Getty Images/Doug Curran.
In April 1999, construction workers discovered human remains at the Duraiappah Stadium in Jaffna when they were laying the foundations for new changing rooms. When the site was excavated, a grave containing 25 skeletons, including those of two children, was revealed. One skeleton had its hands tied; another, belonging to a child, had a copper bangle on. Evidence was unequivocal: it was a crime scene.
As news of the discovery spread, the nation also experienced a smarting sense of irony. Named after the Tamil Mayor of Jaffna who was assassinated by the LTTE, the Duraiappah Stadium had for long suffered as a bystander during Eelam War III. When the government reclaimed Jaffna after an exhaustive battle, the stadium was chosen for renovations as a gesture of reconciliation.
The University Teachers’ for Human Rights (UTHR), in a special report it composed on disappearances and accountability, stated that the skeletons date back to the late 1980s. The claim makes assigning blame problematic. In that time, Jaffna passed hands from the LTTE to the Indian Peace Keeping Force to the Sri Lankan Army, with considerable periods of overlap in between.
Mannar Mass Grave

The mass grave at Mannar being excavated. Image credit: Reuters
In December 2013, workers laying a water pipe on a road in Mannar, near the Thiruketheeswaram temple, discovered three human skeletons. Investigations uncovered a grave approximately 37 square metres in area and five metres deep, containing 80 skeletons. The Judicial Medical Officer in charge, Dhananjaya Waidyarathna stated that the top layer of the skeletons was already damaged by backhoes that were carrying out the construction work. He further remarked on the absence of clothes at the burial site, suggesting that the bodies were not disposed of as a part of conventional funerals. The discovery was followed by both the government and the LTTE blaming each other for the atrocity. On one end, the government maintained that the mass grave was dug at a time the LTTE controlled the area; equally indignant, pro-LTTE media counter-claimed that the skeletons found at the grave belonged to those who disappeared under the occupation of the army.
All speculation was turned on its head when in April 2014, the Director General of the Archaeological Department, Senarath Dissanayake, submitted his report concluding the grave to be an ordinary burial site, dating back to the 1930s. However, in 2015, yet another mass grave was discovered not far from the original one in Thiruketheeswaram. With the regime change of that year, the Criminal Investigations Department was ordered to conduct fresh investigations into both graves.
Don’t Dig Too Deep
Zealously reciprocated violence, cheapness of death, mass statistics, stumbling investigations, and consternated commissions—there is a pattern here. After surviving two Marxist insurgencies and a thirty-year long war, forgetfulness could be Sri Lanka’s coping mechanism. However, self-deception has its price. If we continue to build on buried secrets, perhaps we should learn not to dig too deep.
Featured image credit: AP